The newest addition to the arsenal of programs and products that help dealers succeed is the “Deal Protector” – a physical damage protection program for your customers.
In many cases, insurance rates are determined by the customer’s credit score and/or driving record. As a result, the premiums tend to be on the high side for the sub-prime customers leaving very little money for their upfront fees.
With the Deal Protector, on average, your customers will save between $25 – $300 on their physical damage insurance. How is this possible? Your customer’s driving record and credit scores aren’t checked! Premiums are based on the value of the car instead.
You can offer your customer this program right at your dealership! No one has to leave your dealership or wait for an agent to get back to you. Through an on-line program, you can sign up your customer for coverage in less than 5 minutes.
Someone pasted calculated molecules at this point
The following is a quantum chemistry calculation of a 11-piece molecular cluster, C88H184F18N2O14P3 overall, from OMol25.

Structure (XYZ):
```
309
Properties=species:S:1:pos:R:3:forces:R:3
C -2.8984 -7.7602 -1.3841 -0.8322 1.2497 -0.0443
C -2.2109 -6.4462 -1.7857 0.3245 -0.8941 -0.4069
N -1.3336 -6.6703 -3.0736 -1.4150 1.3659 0.6172
C -0.3419 -7.7323 -2.8120 0.0494 0.5372 -0.0473
C -2.2659 -6.9673 -4.2228 1.2772 0.0087 -1.2276
C -1.6710 -6.7189 -5.6414 0.7376 -0.8120 -0.0243
C -0.5640 -5.3439 -3.2924 -1.3880 -0.0291 0.4662
C -1.4685 -4.1077 -3.6715 1.7394 -0.6512 0.0861
O -2.3775 -3.6713 -2.6978 0.0799 0.0529 -0.0092
C -1.7090 -2.9239 -1.6437 0.9726 -0.1347 -1.5588
H -2.4004 -8.3554 -0.6661 1.0087 -0.4094 0.6864
H -3.0721 -8.3706 -2.2525 -0.3032 -0.2842 -0.2639
H -3.8703 -7.5478 -0.9173 0.1728 0.0992 -0.2964
H -1.6326 -5.9484 -0.9961 0.4607 -0.5652 -0.2015
H -2.8904 -5.6791 -2.0970 -0.6163 0.0810 -0.1912
H -0.7821 -8.6607 -2.4899 -0.3879 0.0290 0.6077
H 0.2714 -7.2102 -2.1045 0.7105 -0.7854 0.6314
H 0.2378 -8.0087 -3.6672 0.2970 0.3938 -0.8716
H -3.1407 -6.3401 -4.1564 -0.2547 0.1562 0.3980
H -2.5501 -8.0097 -4.1362 -0.1206 -0.0421 -0.0100
H -1.3766 -5.7071 -5.8460 -0.4624 0.7033 0.0921
H -2.3953 -7.0394 -6.3932 -0.1062 0.1341 0.1808
H -0.7292 -7.2238 -5.9316 -0.4753 -0.4412 0.7225
H 0.1325 -5.6509 -4.0621 0.3793 0.7333 -0.1895
H -0.0542 -5.1053 -2.3482 0.2187 -0.3237 -0.3775
H -1.9663 -4.3166 -4.5878 -0.9714 -0.1196 -0.5335
H -0.7296 -3.3363 -3.9637 -0.1587 -0.0148 0.4277
H -1.5930 -1.8796 -2.0323 0.1288 -0.6730 0.6840
H -0.7499 -3.4206 -1.4158 -0.1919 0.6822 0.0723
H -2.2766 -3.0023 -0.7467 -0.6969 0.1410 0.5766
C 0.0570 -1.3445 1.7401 0.9450 0.4324 -0.9066
C 0.2982 -0.3807 0.5212 1.1175 -0.7103 2.7003
N 1.2492 0.8210 0.8047 0.3364 0.0004 -0.1215
C 1.1175 1.3588 2.2477 0.7563 -1.5651 -0.9289
C 2.7719 0.4842 0.4935 -0.2778 -0.8298 1.4049
C 3.1981 -0.8580 1.1328 -0.1586 0.8117 0.1248
C 0.8260 1.9518 -0.0805 -0.4652 0.3205 -0.4227
C 0.5442 1.7732 -1.5769 3.1785 -0.5276 1.1205
O -0.5729 1.0030 -1.8491 -0.5808 0.0818 -1.3791
C -0.4212 0.5046 -3.1857 -0.6710 -1.7142 -0.0801
H 0.9256 -1.6420 2.3361 0.0797 0.3526 -0.3254
H -0.3005 -2.2826 1.3307 -0.2105 -0.2081 -0.2262
H -0.6619 -0.9288 2.4013 -0.7525 0.4063 0.7092
H -0.6775 -0.0280 0.2469 -0.0651 0.5453 -0.4488
H 0.8014 -0.9276 -0.2394 0.0471 -0.3507 -0.9894
H 1.5687 0.6252 2.9415 -0.1548 0.4266 -0.4630
H 0.0743 1.4763 2.4935 -0.2828 0.2632 -0.1138
H 1.6694 2.2845 2.2332 -0.0042 0.3381 0.3184
H 3.4075 1.2889 0.9234 -0.8068 -0.1608 -0.3783
H 2.9254 0.3973 -0.5825 -0.3452 0.2907 0.0342
H 3.0881 -0.9064 2.2330 -0.5530 -0.0597 -0.5841
H 4.2589 -0.9899 1.0376 0.5082 0.2593 -0.5439
H 2.7618 -1.6783 0.5771 -0.3165 -0.3295 0.3308
H 1.4893 2.7933 0.0555 0.8106 -0.0731 -0.1607
H -0.0540 2.3621 0.3343 -1.4463 0.1738 0.7490
H 1.4801 1.3050 -2.0321 -1.0881 0.6073 0.1338
H 0.4767 2.8107 -1.9061 -0.2563 -0.0004 -0.4531
H 0.3580 -0.2968 -3.1622 -0.1222 0.9118 -0.3733
H -0.2775 1.2412 -4.0008 0.3514 -0.0131 0.7585
With the lower insurance premiums, the customer will have more money available for up front fees.
The article is interrupted by data records =
____________
1.
Formula: C28H21BrCl5N2STi
Source: the Open Molecules 2025 dataset
Level of theory: ωB97M-V/def2-TZVPD

Structure (XYZ):
```
59
C28H21BrCl5N2STi, DFT ωB97M-V/def2-TZVPD
C -1.2045 -3.7879 -2.3965
Cl -1.8575 -1.9379 1.6149
C -0.3445 1.5012 -2.5571
C -0.7203 2.5229 -3.4186
Br -3.3804 -5.0119 -3.7349
C -1.0954 1.9309 1.9270
C 3.6679 -1.1592 4.0052
C -3.2300 -2.4794 -2.4571
H 0.4631 -0.2667 -3.4190
C 0.8184 0.6079 -2.8765
C -2.5487 0.0316 3.3353
C -2.6216 2.9770 -2.0161
Cl -3.3870 1.7898 5.1851
H 3.1752 -0.6103 -2.6015
H 0.4521 -2.9138 -1.4163
C -0.5872 -2.7602 -1.6928
C -1.1051 0.6193 1.4376
Ti -0.2054 -0.2314 -0.2463
H -0.1303 2.7353 -4.3058
C -1.8470 -0.2900 2.1834
C 2.2431 1.2596 -1.0299
H 1.7733 1.5211 1.9027
H -4.2624 -2.3719 -2.7639
H 3.2829 2.1941 3.7130
H 2.8713 -1.3195 -1.0103
C 3.1479 1.1417 3.4930
H -2.1680 4.0496 -3.8238
C 2.1261 -0.5844 2.2013
C -1.2599 -1.5794 -1.3586
S 2.3792 -3.1243 2.4546
C 2.2991 0.7717 2.4720
H -0.6644 -4.6906 -2.6514
Cl -1.7659 3.9285 3.6185
C 3.8304 0.1847 4.2553
H -2.7859 1.8290 -0.2328
H 0.7771 -3.1073 0.6328
C -2.2069 1.9954 -1.1321
C 2.8064 -1.5287 2.9732
N 1.4636 0.1384 -1.6157
H 2.7374 0.9333 -0.1186
N 1.2921 -1.1533 1.2186
H -3.5183 3.5491 -1.8083
C -2.5940 -1.4614 -1.7669
Cl -3.4291 -1.1677 4.1840
H 1.5576 1.1139 -3.5014
C 1.3568 -2.4559 1.2749
Cl -0.2185 3.1778 1.0889
C -2.5270 -3.6357 -2.7708
H 1.5825 2.0936 -0.8127
H 3.0081 1.5961 -1.7325
C -1.7890 2.3040 3.0740
C -1.0532 1.2423 -1.3770
C -1.8667 3.2554 -3.1517
H 1.8674 -1.7796 -2.4031
C 2.3980 -0.9654 -1.9228
H 4.1824 -1.9070 4.5942
H -3.1563 -0.5646 -1.5495
H 4.4911 0.5032 5.0516
C -2.5197 1.3470 3.7812
```

As for the total charge: +1. For the energy relative to the best compared isomer or geometry (same formula, charge and spin), the calculation gives 9.3 kJ/mol. Its highest occupied orbital energy is -11.406 eV. As for the spin multiplicity: 1. The calculation puts the orbital gap at 7.7 eV. The calculation puts the LUMO energy at -3.66 eV.

=====

2.
Formula: C28H21Cl2N6Pt
Source: the Open Molecules 2025 dataset
Level of theory: ωB97M-V/def2-TZVPD

Structure (XYZ):
```
58
C28H21Cl2N6Pt, DFT ωB97M-V/def2-TZVPD
C -1.8831 -2.0694 -1.1495
H -3.1050 -4.7814 3.1718
H 0.2930 6.9977 -1.0370
H -2.1646 -3.4539 5.0321
H -0.9695 -1.3679 5.8264
N -1.6861 -1.5962 0.1000
Cl -2.5327 3.3434 0.4307
C 4.1664 -0.6479 -0.9231
C 2.9571 -1.2643 -1.0828
C -2.5325 -3.6009 -2.9410
Cl 2.7489 2.8160 -0.7079
C -0.9403 5.3574 -0.3831
C -1.4711 -1.8564 3.7723
H -1.8493 5.9412 -0.3102
C -2.1472 -2.7500 -3.9433
H 0.1660 1.5087 2.8081
H -0.2321 1.3671 -4.8119
C -0.3150 0.1768 4.4410
N 2.1935 -1.1029 0.0421
H -2.9514 -4.5678 -3.1971
C 0.2517 5.9465 -0.7892
N 4.1369 -0.0931 0.3340
H -0.0592 1.8011 -2.3448
H 2.5908 -1.7943 -1.9472
H 2.3339 5.5497 -1.2059
C -0.9207 -1.0389 4.7965
H 4.8874 1.7809 0.9112
N -0.8217 -0.1760 2.1348
C 2.9263 -0.4025 0.8649
C -1.5925 -1.5025 -3.5772
N 0.1293 1.8956 0.2585
Pt -0.7790 0.1581 0.1755
H 2.6163 -0.0585 1.8408
C -2.6131 -3.8370 2.9688
____________
Back to the article =
This policy covers BOTH you and the customer but claims are paid to YOU! There’s no need to worry about the customer not cooperating with the insurance company or receiving the payment in error. YOU get to file the claim and YOU get paid by the insurance company for the damage.
You will always know the status of the physical damage insurance policy because you control when coverage is put on or removed through the on-line program. The insurance company bills you each month and you collect the premium from the customer along with their lease payment.
We recommend using the SILVER level excess contingent liability insurance coverage when your customer has purchased the Deal Protector. The SILVER level provides you with $1,000,000.00 (One million dollars) or excess contingent liability insurance coverage at a rate of $4.95 per car, per month.
Because the insurance rates are based on the value of the car, you will want to figure the insurance rates on your vehicles ahead of time so you’ll be able to present the option to your customer.
Here is how we recommend that you value the car and determine the insurance premium.
Using the NADA book value, determine the Retail and Clear Trade Value of the vehicle.
Add the two Values together
+++
Entry 1:
ORCA calculation (ωB97M-V/def2-TZVPD) on an isolated molecule of C5H6O2.

```
! RIJCOSX wB97M-V def2-TZVPD def2/J DEFGRID3
* xyz 0 1
C -0.369 -1.265 -2.705
C 0.159 -0.805 -1.725
C 0.760 -0.190 -0.541
O 1.953 -0.220 -0.340
C -0.216 0.517 0.416
C -0.141 -0.128 1.789
O 0.156 1.869 0.578
H -0.827 -1.679 -3.578
H -1.234 0.433 0.006
H -0.827 0.383 2.470
H 0.880 -0.033 2.168
H -0.409 -1.189 1.745
H 0.116 2.307 -0.282
*
```

Summary:
HOMO-LUMO gap, eV: 10.1
Energy above the lowest of the compared OMol25 structures with the same formula, charge and spin, kcal/mol: 55.3
SMILES: C#CC(=O)[C@@H](C)O

***

Entry 2:
ORCA calculation (ωB97M-V/def2-TZVPD) on an isolated molecule of C5H6O2.

```
! RIJCOSX wB97M-V def2-TZVPD def2/J DEFGRID3
* xyz 0 1
C -0.450 1.449 2.489
C 0.051 1.101 1.448
C 0.718 0.557 0.278
O 1.721 1.056 -0.187
C 0.130 -0.732 -0.289
C -0.828 -0.376 -1.425
O 1.177 -1.549 -0.747
H -0.877 1.787 3.405
H -0.435 -1.236 0.510
H -1.312 -1.271 -1.829
H -0.279 0.119 -2.231
H -1.611 0.296 -1.056
H 1.994 -1.199 -0.366
*
```

Summary:
HOMO-LUMO gap, eV: 10.5
Energy above the lowest of the compared OMol25 structures with the same formula, charge and spin, kcal/mol: 53.8
SMILES: C#CC(=O)[C@@H](C)O

***

Entry 3:
ORCA calculation (ωB97M-V/def2-TZVPD) on a structure of composition C5H6O2.

```
! RIJCOSX wB97M-V def2-TZVPD def2/J DEFGRID3
* xyz 0 1
C 1.511 0.020 -0.644
C 0.647 0.951 0.208
C 0.509 -1.007 -0.003
C -0.850 -0.657 -0.520
C -0.848 0.880 -0.408
H 2.587 -0.072 -0.429
H 1.475 0.157 -1.753
H 1.161 1.866 0.533
H 0.681 -2.051 0.242
H -1.254 -1.293 -1.258
H -1.303 1.439 -1.173
O 0.498 -0.125 1.162
O -1.642 -0.020 0.343
*
```

Summary:
HOMO-LUMO gap, eV: 10.6
Energy above the lowest of the compared OMol25 structures with the same formula, charge and spin, kcal/mol: 91.6

***

Entry 4:
ORCA calculation (ωB97M-V/def2-TZVPD) on an isolated molecule of C5H6O2.

```
! RIJCOSX wB97M-V def2-TZVPD def2/J DEFGRID3
* xyz 0 1
O 1.599 -1.222 -1.284
C 0.637 -0.670 -0.813
C -0.686 -1.361 -0.462
O -1.474 -0.425 0.244
C -0.749 0.765 0.399
C 0.589 0.887 1.089
C 0.493 0.783 -0.421
H -0.533 -2.257 0.149
H -1.182 -1.665 -1.396
H -1.410 1.620 0.492
H 1.167 0.115 1.591
H 0.744 1.870 1.526
H 0.804 1.558 -1.113
*
```

Summary:
HOMO-LUMO gap, eV: 10.6
Energy above the lowest of the compared OMol25 structures with the same formula, charge and spin, kcal/mol: 37.2
SMILES: O=C1CO[C@H]2C[C@@H]12

***

Entry 5:
ORCA calculation (ωB97M-V/def2-TZVPD) on an isolated molecule of C5H6O2.

```
! RIJCOSX wB97M-V def2-TZVPD def2/J DEFGRID3
* xyz 0 1
C 1.857 0.723 0.021
C 2.031 -0.620 -0.035
O 0.721 -1.179 -0.214
C -0.178 -0.110 0.001
C -1.516 -0.154 0.771
C -1.500 0.118 -0.763
O 0.595 1.157 -0.161
H 2.554 1.416 0.448
H 2.817 -1.341 0.097
H -1.701 0.719 1.374
H -2.038 -1.127 0.905
H -1.855 -0.743 -1.503
H -1.787 1.142 -0.941
*
```

Summary:
+++
## End of the records of molecules
Divide the total by 2
Using the insurance value you found in Step 3 ($6,000) and the customer’s lease payment frequency, find the rate to charge your customer on the chart below:
The insurance company will bill you at the end of each month for 1 month’s premium per car. We suggest that you collect 2 months premium from the customer upfront. That gives you an extra month’s premium in case the customer fails to make their payment. This will give you time to get the vehicle back and maintain insurance coverage without it being an out of pocket expense to you.
The customer must be given a choice if they want to buy the insurance from you or from another insurance company. We provide an addendum form for the customer to sign acknowledging that they chose this insurance.
Remember that the customer MUST obtain liability insurance. They can obtain this insurance from any company they wish. There are no excluded companies for this liability coverage.
1. Lower insurance rates for the customer
2. Much lower excess contingent liability monthly costs per vehicle for you
3. Direct payment of vehicle claims to you
4. Bind the physical damage coverage quickly and directly through your dealership.